To do =
Could you repeat the part of the lines below that starts with the line with "0.506 0.000" and stops after the one with "0.331 0.331"?

Listing =
Entry 1:
! Na42Ca8Ta16Si33S3O144 PBE relaxed; values from VASP
! * total energy: -1788.57 eV/f.u.
! * space group: P1
! * magnetic moment: 0.0 Bohr magnetons per cell
! * formation energy from the elements: -2.936 eV/atom
! * corrected total energy (MP2020 scheme): -0.282 Ha/atom
&SYSTEM
  ibrav = 0, nat = 246, ntyp = 6
/
ATOMIC_SPECIES
O 16.00 O.upf
Na 22.99 Na.upf
Si 28.09 Si.upf
Ca 40.08 Ca.upf
Ta 180.95 Ta.upf
S 32.06 S.upf
ATOMIC_POSITIONS crystal
O 0.577 0.183 0.409
Na 0.811 0.645 0.755
Si 0.650 0.294 0.747
Na 0.842 0.721 0.091
Na 0.317 0.979 0.255
O 0.650 0.469 0.471
O 0.081 0.470 0.973
Ca 0.999 0.997 0.646
O 0.019 0.810 0.689
Si 0.981 0.349 0.584
O 0.045 0.633 0.354
Na 0.167 0.684 0.673
Na 0.666 0.665 0.679
Si 0.017 0.363 0.917
O 0.250 0.158 0.529
O 0.318 0.137 0.142
O 0.432 0.498 0.141
O 0.925 0.505 0.026
O 0.408 0.021 0.080
O 0.409 0.844 0.911
O 0.408 0.797 0.578
O 0.603 0.027 0.304
O 0.599 0.191 0.078
O 0.508 0.795 0.687
O 0.653 0.829 0.970
Na 0.819 0.981 0.256
O 0.990 0.812 0.806
O 0.543 0.475 0.859
Si 0.192 0.345 0.082
Si 0.516 0.669 0.417
O 0.103 0.027 0.580
O 0.829 0.152 0.027
O 0.339 0.163 0.428
Si 0.815 0.661 0.918
O 0.893 0.984 0.688
Na 0.519 0.722 0.590
Si 0.666 0.967 0.916
O 0.933 0.500 0.141
Na 0.330 0.335 0.836
Na 0.516 0.314 0.089
O 0.839 0.514 0.929
O 0.239 0.625 0.577
O 0.601 0.988 0.198
Na 0.004 0.007 0.503
O 0.270 0.911 0.353
O 0.263 0.695 0.969
O 0.985 0.793 0.078
O 0.894 0.799 0.188
O 0.416 0.806 0.306
Si 0.482 0.618 0.080
Ta 0.164 0.665 0.517
O 0.578 0.972 0.910
Na 0.840 0.024 0.914
O 0.691 0.469 0.357
Ta 0.338 0.340 0.184
O 0.075 0.663 0.755
O 0.263 0.832 0.470
S 0.149 0.288 0.750
Na 0.506 0.000 0.505
Si 0.693 0.040 0.582
Si 0.352 0.699 0.247
Si 0.166 0.969 0.916
Ta 0.834 0.331 0.480
Ta 0.992 0.000 0.358
O 0.332 0.156 0.026
O 0.904 0.290 0.245
Na 0.341 0.721 0.090
Na 0.177 0.971 0.755
O 0.748 0.162 0.528
O 0.599 0.223 0.687
O 0.232 0.293 0.750
Si 0.998 0.293 0.247
O 0.933 0.368 0.644
O 0.514 0.220 0.189
O 0.584 0.470 0.973
Si 0.327 0.616 0.582
Ta 0.833 0.331 0.982
O 0.740 0.626 0.575
O 0.770 0.912 0.352
Ta 0.667 0.669 0.021
O 0.403 0.515 0.746
Si 0.826 0.037 0.083
O 0.407 0.974 0.412
O 0.491 0.182 0.577
O 0.153 0.471 0.472
O 0.746 0.337 0.430
O 0.732 0.172 0.250
O 0.258 0.843 0.753
O 0.747 0.343 0.026
Na 0.177 0.382 0.254
O 0.602 0.019 0.579
O 0.349 0.511 0.246
Na 0.505 0.998 0.006
Ta 0.994 0.989 0.856
Si 0.666 0.362 0.416
Si 0.999 0.702 0.747
O 0.250 0.363 0.143
Na 0.327 0.322 0.334
Na 0.004 0.636 0.261
S 0.149 0.010 0.251
O 0.819 0.138 0.143
Si 0.496 0.698 0.747
O 0.542 0.613 0.358
Si 0.326 0.038 0.082
S 0.648 0.010 0.252
Si 0.498 0.295 0.247
Si 0.317 0.665 0.915
O 0.242 0.851 0.075
O 0.331 0.508 0.526
O 0.105 0.028 0.304
Na 0.666 0.310 0.914
O 0.690 0.523 0.077
O 0.348 0.185 0.746
O 0.042 0.471 0.858
Na 0.677 0.977 0.755
Na 0.503 0.634 0.260
O 0.099 0.192 0.079
Na 0.342 0.962 0.589
O 0.908 0.022 0.079
O 0.908 0.799 0.579
O 0.834 0.512 0.525
O 0.766 0.697 0.973
O 0.915 0.805 0.307
Si 0.984 0.621 0.080
O 0.014 0.222 0.188
Si 0.692 0.344 0.082
O 0.751 0.361 0.142
Na 0.003 0.377 0.758
O 0.191 0.525 0.077
Ta 0.839 0.342 0.184
O 0.271 0.627 0.853
Ca 0.667 0.665 0.323
Si 0.483 0.346 0.579
O 0.760 0.675 0.252
Na 0.514 0.374 0.758
O 0.193 0.917 0.856
O 0.164 0.868 0.257
O 0.007 0.842 0.411
O 0.689 0.856 0.575
O 0.743 0.161 0.929
O 0.907 0.839 0.911
Ca 0.500 0.000 0.647
O 0.574 0.521 0.577
O 0.595 0.165 0.806
Ta 0.331 0.331 0.480
Na 0.344 0.024 0.916
Na 0.339 0.655 0.414
Ca 0.165 0.662 0.323
Si 0.853 0.006 0.747
O 0.419 0.323 0.929
O 0.249 0.342 0.028
O 0.073 0.524 0.577
O 0.082 0.691 0.471
Si 0.193 0.039 0.583
O 0.666 0.480 0.755
Ca 0.167 0.668 0.824
O 0.760 0.851 0.754
O 0.508 0.840 0.410
Na 0.832 0.333 0.832
O 0.742 0.850 0.077
Si 0.016 0.669 0.415
O 0.404 0.290 0.246
O 0.245 0.156 0.930
O 0.922 0.336 0.529
O 0.662 0.866 0.258
Na 0.166 0.659 0.172
Si 0.313 0.968 0.415
O 0.233 0.172 0.249
Na 0.487 0.661 0.914
O 0.581 0.691 0.473
O 0.244 0.333 0.431
O 0.073 0.483 0.254
Na 0.678 0.383 0.255

Completed =
Na 0.506 0.000 0.505
Si 0.693 0.040 0.582
Si 0.352 0.699 0.247
Si 0.166 0.969 0.916
Ta 0.834 0.331 0.480
Ta 0.992 0.000 0.358
O 0.332 0.156 0.026
O 0.904 0.290 0.245
Na 0.341 0.721 0.090
Na 0.177 0.971 0.755
O 0.748 0.162 0.528
O 0.599 0.223 0.687
O 0.232 0.293 0.750
Si 0.998 0.293 0.247
O 0.933 0.368 0.644
O 0.514 0.220 0.189
O 0.584 0.470 0.973
Si 0.327 0.616 0.582
Ta 0.833 0.331 0.982
O 0.740 0.626 0.575
O 0.770 0.912 0.352
Ta 0.667 0.669 0.021
O 0.403 0.515 0.746
Si 0.826 0.037 0.083
O 0.407 0.974 0.412
O 0.491 0.182 0.577
O 0.153 0.471 0.472
O 0.746 0.337 0.430
O 0.732 0.172 0.250
O 0.258 0.843 0.753
O 0.747 0.343 0.026
Na 0.177 0.382 0.254
O 0.602 0.019 0.579
O 0.349 0.511 0.246
Na 0.505 0.998 0.006
Ta 0.994 0.989 0.856
Si 0.666 0.362 0.416
Si 0.999 0.702 0.747
O 0.250 0.363 0.143
Na 0.327 0.322 0.334
Na 0.004 0.636 0.261
S 0.149 0.010 0.251
O 0.819 0.138 0.143
Si 0.496 0.698 0.747
O 0.542 0.613 0.358
Si 0.326 0.038 0.082
S 0.648 0.010 0.252
Si 0.498 0.295 0.247
Si 0.317 0.665 0.915
O 0.242 0.851 0.075
O 0.331 0.508 0.526
O 0.105 0.028 0.304
Na 0.666 0.310 0.914
O 0.690 0.523 0.077
O 0.348 0.185 0.746
O 0.042 0.471 0.858
Na 0.677 0.977 0.755
Na 0.503 0.634 0.260
O 0.099 0.192 0.079
Na 0.342 0.962 0.589
O 0.908 0.022 0.079
O 0.908 0.799 0.579
O 0.834 0.512 0.525
O 0.766 0.697 0.973
O 0.915 0.805 0.307
Si 0.984 0.621 0.080
O 0.014 0.222 0.188
Si 0.692 0.344 0.082
O 0.751 0.361 0.142
Na 0.003 0.377 0.758
O 0.191 0.525 0.077
Ta 0.839 0.342 0.184
O 0.271 0.627 0.853
Ca 0.667 0.665 0.323
Si 0.483 0.346 0.579
O 0.760 0.675 0.252
Na 0.514 0.374 0.758
O 0.193 0.917 0.856
O 0.164 0.868 0.257
O 0.007 0.842 0.411
O 0.689 0.856 0.575
O 0.743 0.161 0.929
O 0.907 0.839 0.911
Ca 0.500 0.000 0.647
O 0.574 0.521 0.577
O 0.595 0.165 0.806
Ta 0.331 0.331 0.480